........
1.
First-principles (PBE) data for a relaxed KNaNiSb2 crystal, as listed in Alexandria.

POSCAR file:
```
KNaNiSb2
1.0
-1.5603 -4.0363 2.5856
3.4481 1.2541 4.0386
-3.5817 2.7888 2.1921
Na Sb K Ni
1 2 1 1
Direct
0.0000 0.5000 0.0000
0.0000 0.0000 0.5000
0.5000 0.0000 0.0000
0.5000 0.5000 0.5000
0.0000 0.0000 0.0000
```

* raw total energy: -17.1 eV per cell

---

2.
First-principles (PBE) data for a relaxed AcPmSnRh crystal, as listed in Alexandria.

POSCAR file:
```
AcPmSnRh
1.0
4.8786 0.0000 0.0000
0.0000 4.8786 0.0000
0.0000 0.0000 10.4366
Rh Ac Sn Pm
2 2 2 2
Direct
0.5000 0.0000 0.6422
0.0000 0.5000 0.3578
0.5000 0.0000 0.1992
0.0000 0.5000 0.8008
0.0000 0.5000 0.1111
0.5000 0.0000 0.8889
0.5000 0.5000 0.5000
0.0000 0.0000 0.5000
```

* energy above the lowest structure with this stoichiometry: 0 meV per atom

---

3.
First-principles (PBE) data for a relaxed RbNbFe2 crystal, as listed in Alexandria.

POSCAR file:
```
RbNbFe2
1.0
-1.6495 -3.1317 -2.9104
-3.5722 1.0216 -2.6823
0.5994 0.5254 -4.5126
Fe Rb Nb
2 1 1
Direct
0.2500 0.2500 0.2500
0.7500 0.7500 0.7500
0.0000 0.0000 0.0000
0.5000 0.5000 0.5000
```

* energy above the lowest structure with this stoichiometry: 106 meV per atom

---

4.
First-principles (PBE) data for a relaxed CoCu3Se crystal, as listed in Alexandria.

POSCAR file:
```
CoCu3Se
1.0
4.4960 0.0000 0.0000
0.0000 4.4960 0.0000
0.0000 0.0000 4.4960
Cu Se Co
3 1 1
Direct
0.0000 0.5000 0.0000
0.0000 0.0000 0.5000
0.5000 0.0000 0.0000
0.0000 0.0000 0.0000
0.5000 0.5000 0.5000
```

* energy above the lowest structure with this stoichiometry: 3 meV per atom

---

5.
First-principles (PBE) data for a relaxed BaGaBIr2 crystal, as listed in Alexandria.

POSCAR file:
```
BaGaBIr2
1.0
5.2215 0.0000 0.0000
0.0000 5.0108 0.0000
0.0000 0.0000 5.2215
Ir Ga Ba B
2 1 1 1
Direct
0.5000 0.0000 0.0000
0.0000 0.0000 0.5000
0.5000 0.5000 0.5000
0.0000 0.0000 0.0000
0.0000 0.5000 0.0000
```

* raw total energy: -16.2 eV per cell

---

6.
First-principles (PBE) data for a relaxed CsZr3Se crystal, as listed in Alexandria.

POSCAR file:
```
CsZr3Se
1.0
-3.2719 2.0511 -3.5226
2.7772 -2.1846 -3.8517
-2.9837 -4.2826 0.2777
Zr Se Cs
3 1 1
Direct
0.5000 0.0000 0.0000
0.0000 0.0000 0.5000
0.0000 0.5000 0.0000
0.0000 0.0000 0.0000
0.5000 0.5000 0.5000
```

* raw total energy: -27.6 eV per cell

---

7.
First-principles (PBE) data for a relaxed Y4ErAl2 crystal, as listed in Alexandria.

POSCAR file:
```
Y4ErAl2
1.0
5.0339 0.0000 0.0000
2.5170 4.3595 0.0000
2.5170 1.4532 10.0198
Y Al Er
4 2 1
Direct
0.8963 0.8963 0.3110
0.2974 0.2974 0.1078
0.7026 0.7026 0.8922
0.1037 0.1037 0.6890
0.5993 0.5993 0.2020
0.4007 0.4007 0.7980
0.5000 0.5000 0.5000
```

* energy above the lowest structure with this stoichiometry: 287 meV per atom

---

8.
First-principles (PBE) data for a relaxed Na3BeSe3 crystal, as listed in Alexandria.

POSCAR file:
```
Na3BeSe3
1.0
-5.9626 -3.0758 -1.4876
2.9286 -7.3106 3.3770
-4.6626 4.4945 9.3959
Se Be Na
12 4 12
Direct
0.9656 0.6280 0.3441
0.9133 0.9273 0.6255
0.5867 0.9273 0.1255
0.0344 0.3720 0.6559
0.0867 0.0727 0.3745
0.4133 0.0727 0.8745
0.5344 0.6280 0.8441
0.8693 0.2655 0.0320
0.1307 0.7345 0.9680
0.6307 0.2655 0.5320
0.3693 0.7345 0.4680
0.4656 0.3720 0.1559
0.4220 0.8476 0.9563
0.5780 0.1524 0.0437
0.9220 0.1524 0.5437
0.0780 0.8476 0.4563
0.6762 0.9234 0.3766
0.2052 0.6982 0.7016
0.1762 0.0766 0.1234
0.7052 0.3018 0.7984
0.2736 0.3914 0.4245
0.7736 0.6086 0.0755
0.3238 0.0766 0.6234
0.7264 0.6086 0.5755
0.8238 0.9234 0.8766
0.2264 0.3914 0.9245
0.7948 0.3018 0.2984
0.2948 0.6982 0.2016
```

* raw total energy: -96.2 eV per cell

---

Record-wise V values, in A^3/atom: 27.731; 31.050; 17.011; 18.176; 27.323; 28.561; 31.413; 23.723
Record-wise DOS(E_F) values, in states/eV per atom: 0.725; 0.808; 1.275; 0.840; 0.908; 0.869; 1.395; 0.073
........

Next, write out the contents earlier on unchanged.

1.
First-principles (PBE) data for a relaxed KNaNiSb2 crystal, as listed in Alexandria.

POSCAR file:
```
KNaNiSb2
1.0
-1.5603 -4.0363 2.5856
3.4481 1.2541 4.0386
-3.5817 2.7888 2.1921
Na Sb K Ni
1 2 1 1
Direct
0.0000 0.5000 0.0000
0.0000 0.0000 0.5000
0.5000 0.0000 0.0000
0.5000 0.5000 0.5000
0.0000 0.0000 0.0000
```

* raw total energy: -17.1 eV per cell

---

2.
First-principles (PBE) data for a relaxed AcPmSnRh crystal, as listed in Alexandria.

POSCAR file:
```
AcPmSnRh
1.0
4.8786 0.0000 0.0000
0.0000 4.8786 0.0000
0.0000 0.0000 10.4366
Rh Ac Sn Pm
2 2 2 2
Direct
0.5000 0.0000 0.6422
0.0000 0.5000 0.3578
0.5000 0.0000 0.1992
0.0000 0.5000 0.8008
0.0000 0.5000 0.1111
0.5000 0.0000 0.8889
0.5000 0.5000 0.5000
0.0000 0.0000 0.5000
```

* energy above the lowest structure with this stoichiometry: 0 meV per atom

---

3.
First-principles (PBE) data for a relaxed RbNbFe2 crystal, as listed in Alexandria.

POSCAR file:
```
RbNbFe2
1.0
-1.6495 -3.1317 -2.9104
-3.5722 1.0216 -2.6823
0.5994 0.5254 -4.5126
Fe Rb Nb
2 1 1
Direct
0.2500 0.2500 0.2500
0.7500 0.7500 0.7500
0.0000 0.0000 0.0000
0.5000 0.5000 0.5000
```

* energy above the lowest structure with this stoichiometry: 106 meV per atom

---

4.
First-principles (PBE) data for a relaxed CoCu3Se crystal, as listed in Alexandria.

POSCAR file:
```
CoCu3Se
1.0
4.4960 0.0000 0.0000
0.0000 4.4960 0.0000
0.0000 0.0000 4.4960
Cu Se Co
3 1 1
Direct
0.0000 0.5000 0.0000
0.0000 0.0000 0.5000
0.5000 0.0000 0.0000
0.0000 0.0000 0.0000
0.5000 0.5000 0.5000
```

* energy above the lowest structure with this stoichiometry: 3 meV per atom

---

5.
First-principles (PBE) data for a relaxed BaGaBIr2 crystal, as listed in Alexandria.

POSCAR file:
```
BaGaBIr2
1.0
5.2215 0.0000 0.0000
0.0000 5.0108 0.0000
0.0000 0.0000 5.2215
Ir Ga Ba B
2 1 1 1
Direct
0.5000 0.0000 0.0000
0.0000 0.0000 0.5000
0.5000 0.5000 0.5000
0.0000 0.0000 0.0000
0.0000 0.5000 0.0000
```

* raw total energy: -16.2 eV per cell

---

6.
First-principles (PBE) data for a relaxed CsZr3Se crystal, as listed in Alexandria.

POSCAR file:
```
CsZr3Se
1.0
-3.2719 2.0511 -3.5226
2.7772 -2.1846 -3.8517
-2.9837 -4.2826 0.2777
Zr Se Cs
3 1 1
Direct
0.5000 0.0000 0.0000
0.0000 0.0000 0.5000
0.0000 0.5000 0.0000
0.0000 0.0000 0.0000
0.5000 0.5000 0.5000
```

* raw total energy: -27.6 eV per cell

---

7.
First-principles (PBE) data for a relaxed Y4ErAl2 crystal, as listed in Alexandria.

POSCAR file:
```
Y4ErAl2
1.0
5.0339 0.0000 0.0000
2.5170 4.3595 0.0000
2.5170 1.4532 10.0198
Y Al Er
4 2 1
Direct
0.8963 0.8963 0.3110
0.2974 0.2974 0.1078
0.7026 0.7026 0.8922
0.1037 0.1037 0.6890
0.5993 0.5993 0.2020
0.4007 0.4007 0.7980
0.5000 0.5000 0.5000
```

* energy above the lowest structure with this stoichiometry: 287 meV per atom

---

8.
First-principles (PBE) data for a relaxed Na3BeSe3 crystal, as listed in Alexandria.

POSCAR file:
```
Na3BeSe3
1.0
-5.9626 -3.0758 -1.4876
2.9286 -7.3106 3.3770
-4.6626 4.4945 9.3959
Se Be Na
12 4 12
Direct
0.9656 0.6280 0.3441
0.9133 0.9273 0.6255
0.5867 0.9273 0.1255
0.0344 0.3720 0.6559
0.0867 0.0727 0.3745
0.4133 0.0727 0.8745
0.5344 0.6280 0.8441
0.8693 0.2655 0.0320
0.1307 0.7345 0.9680
0.6307 0.2655 0.5320
0.3693 0.7345 0.4680
0.4656 0.3720 0.1559
0.4220 0.8476 0.9563
0.5780 0.1524 0.0437
0.9220 0.1524 0.5437
0.0780 0.8476 0.4563
0.6762 0.9234 0.3766
0.2052 0.6982 0.7016
0.1762 0.0766 0.1234
0.7052 0.3018 0.7984
0.2736 0.3914 0.4245
0.7736 0.6086 0.0755
0.3238 0.0766 0.6234
0.7264 0.6086 0.5755
0.8238 0.9234 0.8766
0.2264 0.3914 0.9245
0.7948 0.3018 0.2984
0.2948 0.6982 0.2016
```

* raw total energy: -96.2 eV per cell

---

Record-wise V values, in A^3/atom: 27.731; 31.050; 17.011; 18.176; 27.323; 28.561; 31.413; 23.723
Record-wise DOS(E_F) values, in states/eV per atom: 0.725; 0.808; 1.275; 0.840; 0.908; 0.869; 1.395; 0.073